Section 7 of the National Labor Relations Act (Act) gives employees the right to form unions, bargain collectively and to “engage in other concerted activities for the purpose of … mutual aid or protection”. Speaking out about conditions of employment on behalf of a group of employees would fall within this protection. And, section 8
Employer Feedback Wanted: New York To Update its Sexual Harassment Prevention Policy
The State of New York is looking to strengthen its existing laws concerning the prevention of sexual harassment in the workplace. To do so, the Department of Labor (DOL) is calling on New Yorkers to submit their feedback, which may be provided online before September 20, 2022.
Inserted here: calculated crystals >
DFT (GGA+U) results for a geometry-optimized Li7Fe2P7O24 structure.

Cell: 15.063 5.087 12.111 Å, 90.00 96.27 90.00°
Sites, in units of the cell vectors:
Li1 0.000 0.200 0.250
Li2 0.000 0.800 0.750
Li3 0.093 0.331 0.931
Li4 0.093 0.669 0.431
Li5 0.363 0.298 0.115
Li6 0.363 0.702 0.615
Li7 0.447 0.245 0.483
Li8 0.447 0.755 0.983
Li9 0.553 0.245 0.017
Li10 0.553 0.755 0.517
Li11 0.637 0.298 0.385
Li12 0.637 0.702 0.885
Li13 0.907 0.331 0.569
Li14 0.907 0.669 0.069
Fe1 0.218 0.131 0.296
Fe2 0.218 0.869 0.796
Fe3 0.782 0.131 0.204
Fe4 0.782 0.869 0.704
P1 0.106 0.366 0.691
P2 0.106 0.634 0.191
P3 0.226 0.118 0.547
P4 0.226 0.882 0.047
P5 0.360 0.369 0.841
P6 0.360 0.631 0.341
P7 0.500 0.048 0.750
P8 0.500 0.952 0.250
P9 0.640 0.369 0.659
P10 0.640 0.631 0.159
P11 0.774 0.118 0.953
P12 0.774 0.882 0.453
P13 0.894 0.366 0.809
P14 0.894 0.634 0.309
O1 0.022 0.479 0.628
O2 0.022 0.521 0.128
O3 0.099 0.083 0.735
O4 0.099 0.917 0.235
O5 0.141 0.448 0.288
O6 0.141 0.552 0.788
O7 0.156 0.033 0.451
O8 0.156 0.967 0.951
O9 0.182 0.367 0.606
O10 0.182 0.633 0.106
O11 0.243 0.102 0.135
O12 0.243 0.898 0.635
O13 0.281 0.185 0.843
O14 0.281 0.815 0.343
O15 0.311 0.224 0.509
O16 0.311 0.776 0.009
O17 0.332 0.363 0.290
O18 0.332 0.637 0.790
O19 0.418 0.250 0.746
O20 0.418 0.750 0.246
O21 0.420 0.374 0.951
O22 0.420 0.626 0.451
O23 0.485 0.100 0.142
O24 0.485 0.900 0.642
O25 0.515 0.100 0.358
O26 0.515 0.900 0.858
O27 0.580 0.374 0.549
O28 0.580 0.626 0.049
O29 0.582 0.250 0.754
O30 0.582 0.750 0.254
O31 0.668 0.363 0.210
O32 0.668 0.637 0.710
O33 0.689 0.224 0.991
O34 0.689 0.776 0.491
O35 0.719 0.185 0.657
O36 0.719 0.815 0.157
O37 0.757 0.102 0.365
O38 0.757 0.898 0.865
O39 0.818 0.367 0.894
O40 0.818 0.633 0.394
O41 0.844 0.033 0.049
O42 0.844 0.967 0.549
O43 0.859 0.448 0.212
O44 0.859 0.552 0.712
O45 0.901 0.083 0.765
O46 0.901 0.917 0.265
O47 0.978 0.479 0.872
O48 0.978 0.521 0.372

Summary:
Volume (Å³ per atom): 11.531
Formation enthalpy at 0 K (eV/atom): -2.551
Space-group type: P2/c


Entry 1:
{
  "formula": "Sm2C3",
  "functional": "PBE",
  "state": "optimized geometry",
  "lattice": [[-4.239, 4.239, 4.239], [4.239, -4.239, 4.239], [4.239, 4.239, -4.239]],
  "species": ["Sm", "Sm", "Sm", "Sm", "Sm", "Sm", "Sm", "Sm", "C", "C", "C", "C", "C", "C", "C", "C", "C", "C", "C", "C"],
  "frac_coords": [[0.000, 0.103, 0.500], [0.000, 0.603, 0.500], [0.103, 0.500, 0.000], [0.397, 0.397, 0.397], [0.500, 0.000, 0.103], [0.500, 0.000, 0.603], [0.603, 0.500, 0.000], [0.897, 0.897, 0.897], [0.046, 0.796, 0.250], [0.204, 0.954, 0.250], [0.250, 0.046, 0.796], [0.250, 0.204, 0.954], [0.296, 0.546, 0.750], [0.454, 0.704, 0.750], [0.546, 0.750, 0.296], [0.704, 0.750, 0.454], [0.750, 0.296, 0.546], [0.750, 0.454, 0.704], [0.796, 0.250, 0.046], [0.954, 0.250, 0.204]],
  "rho_g_cm3": 7.34,
  "formation_enthalpy_0k_ev_per_atom": -0.206,
  "spacegroup": "I-43d"
}

=====

Entry 2:
{
  "formula": "Sm3TlC",
  "functional": "PBE",
  "state": "optimized geometry",
Currently, employers in New York are required to…
Calling a man “bald” can amount to harassment related to sex
The Employment Tribunal (ET) has found that an employee that was called “a bald ****” by a fellow male colleague was harassed based on his sex.
The Claimant presented a number of other claims against the Respondent, including unfair dismissal, wrongful dismissal, victimisation and health and safety detriments; however, this post focuses on…
Government introduces legislative changes following the Respect@Work report
On 24 June 2021, the Federal Government introduced the Sex Discrimination and Fair Work (Respect at Work) Amendments Bill 2021 (Cth) (Bill) into the Senate. The Bill amends both the Sex Discrimination Act 1984 (Cth) (SDA) and the Fair Work Act 2009 (Cth) (FWA) in response to the Respect@Work…
AHRC Report: ASX200 companies and sexual harassment
On 17 June 2021, the Australian Human Rights Commission (AHRC) released the “Equality across the board: Investing in workplaces that work for everyone (2021)” report (AHRC Report). The report collates survey and interview data from 118 ASX200 listed companies to portray how these companies are currently combatting the issue…
“Stale” and “ineffective” training is insufficient to establish the reasonable steps defence
A recent decision of the Employment Appeal Tribunal (EAT) in Allay (UK) Limited v Mr S Gehlen provides useful guidance to employers seeking to rely on the “reasonable steps” defence to a claim of discrimination, harassment or victimisation.
An employer can be liable for acts of discrimination, harassment and victimisation carried out by its employees…
Allégations de harcèlement sexuel sur les réseaux sociaux au Québec : ce que les employeurs doivent savoir
Au courant des dernières semaines, nous avons pu assister à de nombreuses dénonciations publiées sur les médias sociaux eu égard à des allégations de harcèlement sexuel, qu’elles soient publiées à visage découvert ou bien de manière anonyme.
Une question qui se pose pour un employeur est de déterminer comment gérer de telles allégations de nature…
This is not a locker room: Do not publicly criticize your employees
Toronto Raptors head coach recently made headlines for unfiltered comments about his team members. This season, he has publicly called out a number of them for their poor performances. Some have commended him for giving team members the motivation they needed to perform better – by providing them with “tough love” instead of sugar-coating the…
France: Le harcèlement sexuel susceptible d’être exclu en cas d’attitude ambigüe de la victime
Le harcèlement sexuel est défini, dans le Code du travail, par « des propos ou comportements à connotation sexuelle répétés qui soit portent atteinte à [la] dignité [du salarié] en raison de leur caractère dégradant ou humiliant, soit créent à son encontre une situation intimidante, hostile ou offensante ».
Le Code du travail prévoit…
France: Provocative acts do not necessarily fall within the scope of sexual harassment if the victim’s behaviour is ambiguous
The French employment Code defines sexual harassment as “repeated sexual comments or conduct that either violate the [employee’s] dignity because of their degrading or humiliating nature or create an intimidating, hostile or offensive situation against the employee“.
The French employment Code also assimilates to sexual harassment “any form of serious pressure, even…